## Data
+++
VASP calculation (PBE) on ZnMo after structural relaxation.

Cell lengths 4.273, 12.165, 3.430 Å; angles 90.00, 90.00, 90.00 degrees
Space group Cmmm (No. 65)
Asymmetric unit:
Zn 0.000 0.000 0.000 [2 per cell]
Zn 0.000 0.155 0.500 [4 per cell]
Mo 0.000 0.327 0.000 [4 per cell]
Mo 0.000 0.500 0.500 [2 per cell]

Calculated values
+++

## Exercise
The reader should start at the top of the material above and restate each line, ending with the one that has "Asymmetric unit:".

## Here it is
VASP calculation (PBE) on ZnMo after structural relaxation.

Cell lengths 4.273, 12.165, 3.430 Å; angles 90.00, 90.00, 90.00 degrees
Space group Cmmm (No. 65)
Asymmetric unit: